5 Upcoming Comic Book Movies That Must Be Stopped

In light of the recent surplus of blockbusting superhero films all but guaranteeing monstrous studio revenue, Hollywood has hit the ground running and greenlit every script featuring a violent man in his underwear from Captain Marvel to your drunken father on Thanksgiving.
Yet, for every Batman Begins that graces the theaters, there are 10 useless men in spandex lined up for the next few years. Here are five of the next big-budget superhero films currently in production that simply should not be.
The Movie:
Coming around 2010, directed by Chris Columbus (Link).
Who is He?
Namor: The Sub-Mariner (which, technically, is his full title in case upon meeting him you happened to overlook the scaly G-string and stench of vagina in the room, and thus were incapable of deducing that Namor might be Sub-Marine in nature) was one of the very first superheroes, debuting in 1939. His powers are roughly equivalent to that of a jacked-up Aquaman, a character most famous for being ridiculously useless.
Namor was the bastard offspring of a ship's captain and a member of a secret undersea race. We might be tempted to call him a mermaid, but the comic book insists he is technically "Homo Mermanus." A piece of advice for budding comic book writers, if you'd like to avoid cheap gay jokes at your hero's expense, perhaps including the words "homo" and "anus" in your character's scientific classification is a bad idea.
Namor has pointy Spock ears, can communicate with aquatic life, breathe underwater, possesses an enhanced physique to deal with the high pressure depths and, of course, has the obligatory tiny wings on his ankles that enable him to fly.
What's that you say? That last one seems a little out of place? Why would an aquatically themed superhero flit about on delicate little calf-wings? According to the creators: Fuck you, that's why.
Previous Notable Appearances on Film:
This is from the Namor cartoon they did back in the 60s. Hopefully, they'll keep it's awesome theme song for the film. Also, watch the beginning to see the look of mild annoyance on the squid's face when the Sub-Mariner goes swishing by. You'll find yourself displaying similar annoyance a few years from now after you waste 10 fucking dollars on a shitty movie about Namor.
Why Fanboys Are Excited:
Writing the script is David Self, who adapted Road to Perdition from a graphic novel into an excellent screenplay. Signed on to direct is Chris Columbus, who directed the first two Harry Potter movies, where he proved himself at least competent at adapting the spirit of a work for film (though seemed to have difficulty with the effects).
There is also a fair amount of depth in the material (a pun which was almost worth the punch in the face we had to give ourselves for making it) in that early Namor was anything but the typical super-being. He was an arrogant, misogynistic, anti hero who would destroy entire cities just to get a little tail. He was the first comic book super-man to show real human fault. Maybe Namor will have the kind of moral complexity that Tom Hanks' character had in Perdition.
Why Fanboys Will Be Disappointed:
Also unlike most superheroes, Namor was wholly unimpressive and horribly ineffective in matters that weren't immediately fish-specific. So, while Namor may not be as likeable as, say, Spider-Man, he also isn't as useful in battle as, say, Spider-Man. Further, If Hanks' character in Perdition had been outfitted with a chafing man-bikini and a pair of dainty foot-wings, he would have been just as impossible to take seriously as Namor will be. Not every single comic book character can be translated to film without looking ridiculous. Here, we have a character whose costume is mostly an aquamarine thong made out of fish scales.
Considering the exaggerated, dynamic poses and action shots that are the hallmark of modern big budget superhero flicks, it is highly probable you will spend roughly an hour and a half staring up at a giant green taint with the occasional slippage of wet side-testicle.
The Movie:
Coming in 2009, directed by Peter Segal (Link).
Who is He?
Shazam! is actually just the name of the comic book itself, not the character. Before you mock our punctuation, we'd like to explain that the name actually contains that exclamation point, a precedent followed only in the early '80s by that short-pant wearing duo of fancy boy-meat Wham! The character's name is really Captain Marvel, making it one of the very few comic books not named after the central character, but rather after the made up word he yells to gain superpowers.
Captain Marvel was essentially the generic brand Superman. The editors at DC needed another success like Superman, and decided to ape Captain Marvel nearly exactly. Captain Marvel is to Superman what GoBots are to Transformers, what Power Rangers are to Voltron, or what Cracked magazine is to MAD magazine. They just took Superman, dressed him in your grandfather's pajamas, paid a sexual deviant to write his back story and watched the cash roll in.
The origin of Shazam! is that young Billy Batson, a 12-year-old homeless newsboy, follows a mysterious stranger into a secret subway tunnel and boards an empty train that takes him to the lair of a wizard who gives him the secret word "Shazam!" The word is an acronym for Solomon, Hercules, Atlas, Zeus, Achilles and Mercury who all lend their respective powers to whoever yells the word with the least amount of shame.
Yes, you've read correctly, Captain Marvel in all of that skin-tight clothing, with his rippled muscles and dangling package is actually a 12-year-old boy who, thanks to a secret magic word he learned only by talking to strangers and following them into abandoned subway tunnels, has the amazing ability to instantly transform into the legal age of consent.
Previous Notable Appearances on Film:
Behold the glory of the live-action Shazam! TV show that aired in the mid-'70s. All the creepiness of the premise is on full display, as young Billy and his middle-aged male companion cross the country in their RV. Also, the Greek Gods appear to be represented by stationery cardboard cutouts.
Why Fanboys Are Excited:
The Rock is attached to play the villain, a likable enough actor who was seems genetically designed specifically to be in comic book movies. It's not a bad role, either. If you take away almost everything ridiculous that doesn't work about Captain Marvel, you have his antithesis and mortal enemy, Black Adam. Not to worry, though, sensitive readers, Black Adam is not a racist caricature of a black man that embodies everything evil. The "Black" only refers to his dark soul and corrupted nature. He's actually an Arab.
The script is being written by William Goldman, John August, and Bryan Goluboff whose individual past efforts have included Big Fish, The Basketball Diaries, Butch Cassidy and the Sundance Kid and The Princess Bride. So, there's some real, actual writing people there who can actually write action and character depth at the same time, if given the chance.
There are some themes to explore here, the hero transformation serving as a rescue fantasy for a boy abandoned by his parents and society in general. Maybe this film can explore some of the emotional complexities of the superhero that were so clumsily handled in Superman Returns.
Why Fanboys Will be Disappointed:
First of all ...
Also, these generic-brand rip offs only make sense if the original is doing monster business. That's not the case with Superman, though, whose last film was greeted with a thundering "meh." Here, you have a character with all the problems of Superman (namely, the all-powerful invincibility that makes him impossible to identify with), only without the familiarity and with a foppish gold sash around his waist.
Luke Cage
The Movie:
Coming 2009, directed by John Singleton (Link).
Who is He?
Luke Cage, a young gang member living in 1970s Harlem was arrested and imprisoned for a crime he didn't commit. You may be disinclined to believe young Luke was innocent upon hearing, directly from his origin, that he was a gang member in 1970s Harlem. But to be fair, according to the movies the vast majority of gangland activity before 1991 was comprised of double-dutch competitions, choreographed roller skating and breakdancing to save the community center from an evil strip-mall developer.
Luke became so utterly repentant in prison that he volunteered as a test subject for a secret government project that gave him diamond-hard skin and superhuman strength. How the project obtained funding for their proposal, entitled "give diamond-hard skin and superhuman strength to angry young ethnic convicts" is yet another prime example of the dangerous incompetence of the Nixon administration. After the experiments earned him his freedom, Luke found himself possessing new and amazing powers beyond that of any normal man and set about fighting crime as the indomitable ... LUKE CAGE!
This is, obviously, the worst superhero name in comic books; a genre famous for the insipidity of its names. To his credit, Luke did attempt a different name at first, that of Power Man, it just didn't stick. We imagine the conversation went something like:
"The ghettos aren't safe, and that's why I must become ... POWER MAN!"
"Uh ... Luke ...?"
"Yeah ... Hey, God love you man, but I would let you sexually rule me like a king, before I call you that. I would service you daily and refer to you as 'His Erotic Majesty' before I call you god damned Power Man."
"Y ... you would?"
"No, Luke. That's a Hyperbole."
(Attached: materials data)
'''
Arrangement w

Computed, not measured: Tm5Mg after structural relaxation at the r2SCAN level of DFT.

a = 6.0286 Å, b = 6.0286 Å, c = 16.5251 Å
α = 90.00°, β = 90.00°, γ = 120.00°
Space group R32 (No. 155, hexagonal axes)
Inequivalent atoms, fractional coordinates:
Tm1 0.0000 0.0000 0.1635 [6 per cell]
Tm2 0.0000 0.6568 0.0000 [9 per cell]
Mg1 0.0000 0.0000 0.5000 [3 per cell]

Crystal system: trigonal

***

Arrangement x

Computed, not measured: Tm5Mg after structural relaxation at the r2SCAN level of DFT.

a = 5.513 Å, b = 3.531 Å, c = 18.053 Å
α = 90.00°, β = 90.00°, γ = 90.00°
Space group Amm2 (No. 38)
Inequivalent atoms, fractional coordinates:
Tm1 0.000 0.000 0.000 [2 per cell]
Tm2 0.000 0.000 0.329 [2 per cell]
Tm3 0.000 0.000 0.667 [2 per cell]
Tm4 0.500 0.000 0.114 [2 per cell]
Tm5 0.500 0.000 0.447 [2 per cell]
Mg1 0.500 0.000 0.777 [2 per cell]

Crystal system: orthorhombic

***

Top of the stability list: arrangement x, leading by 15 meV/atom.

***

Arrangement w

Computed, not measured: Y5Mg after structural relaxation at the r2SCAN level of DFT.

a = 5.789 Å, b = 3.615 Å, c = 18.383 Å
α = 90.00°, β = 90.00°, γ = 90.00°
Space group Amm2 (No. 38)
Inequivalent atoms, fractional coordinates:
Y1 0.000 0.000 0.000 [2 per cell]
Y2 0.000 0.000 0.329 [2 per cell]
Y3 0.000 0.000 0.662 [2 per cell]
Y4 0.500 0.000 0.215 [2 per cell]
Y5 0.500 0.000 0.885 [2 per cell]
Mg1 0.500 0.000 0.552 [2 per cell]

Crystal system: orthorhombic

***

Arrangement x

Computed, not measured: Y5Mg after structural relaxation at the r2SCAN level of DFT.

a = 13.005 Å, b = 3.632 Å, c = 8.388 Å
α = 90.00°, β = 105.71°, γ = 90.00°
Space group Cm (No. 8)
Inequivalent atoms, fractional coordinates:
Y1 0.000 0.000 0.000 [2 per cell]
Y2 0.039 0.000 0.609 [2 per cell]
Y3 0.149 0.500 0.339 [2 per cell]
Y4 0.318 0.000 0.679 [2 per cell]
Y5 0.367 0.000 0.263 [2 per cell]
Mg1 0.211 0.500 0.944 [2 per cell]

Crystal system: monoclinic

***

Top of the stability list: arrangement x, leading by 13 meV/atom.

***

Arrangement w

Computed, not measured: NaMn2O4 after structural relaxation at the r2SCAN level of DFT.

a = 8.851 Å, b = 2.856 Å, c = 11.021 Å
α = 90.00°, β = 90.00°, γ = 90.00°
Space group Pnma (No. 62)
Inequivalent atoms, fractional coordinates:
Na1 0.246 0.250 0.163 [4 per cell]
Mn1 0.069 0.250 0.388 [4 per cell]
Mn2 0.082 0.250 0.903 [4 per cell]
O1 0.027 0.750 0.801 [4 per cell]
O2 0.069 0.250 0.585 [4 per cell]
O3 0.116 0.750 0.020 [4 per cell]
O4 0.212 0.750 0.348 [4 per cell]

Crystal system: orthorhombic

***

Arrangement x

Computed, not measured: NaMn2O4 after structural relaxation at the r2SCAN level of DFT.

a = 2.867 Å, b = 4.874 Å, c = 5.729 Å
α = 72.85°, β = 89.88°, γ = 89.99°
Space group P-1 (No. 2)
Inequivalent atoms, fractional coordinates:
Na1 0.000 0.000 0.000 [1 per cell]
Mn1 0.000 0.500 0.500 [1 per cell]
Mn2 0.500 0.000 0.500 [1 per cell]
O1 0.001 0.224 0.318 [2 per cell]
O2 0.499 0.267 0.688 [2 per cell]

Crystal system: triclinic

***
'''
(Back to the article)
Previous Notable Appearances on Film:
In this Web video, a grown-up comics fan engages in a little Luke Cage cosplay. Can a team of Hollywood professionals make the costume look less ridiculous? It might not be possible.
Why Fanboys Are Excited:
In talks to play Cage is Tyrese Gibson, who at least looks like he could kick somebody's ass.
The attached director is John Singleton, most famous for his work on Boyz n the Hood, arguably the best gang movie to come out of their resurgence in the early '90s. Singleton has easily proven apt to deal with the inner turmoil of disillusioned black ex-convicts, and perhaps Luke Cage would have been more at home in those harsh and edgy gangland dramas after all.
Why Fanboys Will Be Disappointed:
Since Boyz n the Hood, Singleton has proven himself more than capable of churning out awful genre trash. So anyone with visions of an uncompromisingly gritty Luke Cage should probably check out Singleton and Tyrese's previous collaboration 2 Fast 2 Furious.
Also, the character hasn't exactly aged well. Luke Cage was always one dimensional at best, an exploitive stereotype at worst. Cage was Marvel's entry into the blaxploitation craze, and rather than waste valuable time on characterization and ingenuity, they threw Shaft up on some cinder-blocks, tweaked the horsepower, and added the most generic abilities available. Still not offended? Alright, while Superman embodied "Truth, Justice and the American Way," Cage was famous for often shouting the catchphrase "Sweet Christmas!"
Though we will readily admit he was a serious hard-ass (the man patrolled Harlem dressed like your grandma on vacation) we would like for you to notice his "metal headband," which upon close inspection is actually a little girl's costume Tiara worn upside down.This, combined with the canary-yellow blouse and navy blue stretch pants, leads us to believe that while the streets may be safer thanks to Cage, somewhere in Brooklyn there is a sad, pre-teen girl who is trying to find her Halloween costume.
The Mighty Thor
The Movie:
Coming 2009, directed by Matthew Vaughn (Link).
Who is He?
Much like most bisexual East Berlin rave DJs, The Mighty Thor is named after an adjective and a powerful Norse god. The commonalities do not end there, however. Much like, say, "DJ Baldur the Funky Ramrod," The Mighty Thor also possesses radiant, flowing, shoulder-length blond locks, wears giant yellow go-go boots and a bright red cape, and most of what comes out of his mouth is an ancient, but powerful and masculine Germanic tongue.
The origin of the comic god goes like this: The arrogant Thor needs a lesson in humility, so his father Odin, the ruler of all gods, sends him to Earth in the form of a crippled mortal to teach him to be humble. When Thor finally learns his shits do stink, his mortal form dies off and he is allowed to become himself again.
This spiritual lesson serves to confirm two things: Being handicapped is God's way of punishing you for religious transgressions, and to the son of God, Earth is essentially a giant time-out where instead of facing a corner for five minutes you live a short, challenging life rife with confusion and pain until you are eventually allowed to die.
Thor has the industry standard super-strength and invulnerability, as well as control over lightning and the ability to fly for no particular reason.
Previous Notable Appearances on Film:
Why Fanboys Are Excited:
The attached director is Matthew Vaughn, whose previous works include the brutal English gangster movie Layer Cake and the unappreciated fantasy epic Stardust. As producer, Vaughn was also involved in nearly every Guy Ritchie movie (Lock Stock and Two Smoking Barrels). He could add a certain level of cool to a genre that has to struggle to keep from slipping into the ridiculous (see Ghostrider).
Why Fanboys Will Be Disappointed:
Vaughn apparently didn't get the memo that he had switched genres, and is directing a movie about a guy who looks like this:
... because they're in talks to cast Kevin McKidd in the lead role. He played Lucius Vorenus from the HBO series Rome, but he's best known as Tommy from Trainspotting. That's right, they've cast one of the heroin addicts from Trainspotting as Thor. Sure he's a good actor and we're all for British grit, but that guy's 50 pounds shy of being believable as Thor's love interest.
The Green Lantern
The Movie:
Coming around 2010, directed by Greg Berlanti (Link)
Who is He?
The Green Lantern is more of a class or profession than it is a man. Similar to "the sheriff" or "the mayor," or "an asshole," it is a term that can specifically refer to one person but also applies to a larger concept encompassing many others.
Much like assholes, there are Green Lanterns spread throughout the universe. Typically, when they speak of Green Lantern they mean the late 1950s "silver age" incarnation Hal Jordan. Hal was a test pilot given a magical ring by a dying alien that gave him super-powers. Specifically, the ring gave Hal the ability to create physical objects out of green energy. The scope and magnitude of his powers were limited "only by his imagination." With this boundless power quite literally in his hands, and with the implicit intention of challenging Namor for the title of "Least Effective in a Fight," Hal proceeded to make mostly umbrellas, round plate-like surfaces, and fists that were a bit larger than usual.
In order to curb these massive powers, Green Lantern had to have a weakness, some small flaw, miniscule, hidden and not often encountered, like Superman's famous kryptonite. That weakness, the writers decided, was to be "the entire color yellow." Not just yellow rays, or yellow swords, or yellow slightly-larger-than-usual fists, but the whole of the spectrum in general. Though this is immensely vaster a weakness than a superhero would normally have, it did serve a purpose: anybody capable of kicking your ass would have to look really stupid doing it.
Previous Notable Appearances on Film:
This is from the pilot of a 1997 Justice League of America TV show that the network decided was too retarded to air. Here we see the literally unlimited power of the Green Lantern on display as he uses the green energy to form ... an umbrella. Seriously.
Why Fanboys Are Excited:
The idea itself is actually quite good. There is tremendous flexibility with the character (we're picturing him imagining a 600 foot-tall rabid Bruce Lee with machine guns for legs, ending any conflict in a hail of cacophonous gunfire and screeching chicken noises). In the hands of the right creative team it could be really, really cool.
Why Fanboys Will Be Disappointed:
The studio, however, had a different idea. They hired a man named Greg Berlanti to write and direct the film. Name sound familiar? No, it doesn't. Don't lie to the Internet. Berlanti thus far has directed one movie: The Broken Hearts Club, a romantic comedy about a group of young, hip friends with relationship troubles whose tagline is "The shortest distance between friends isn't always a straight line."
His previous writing credits include Dawson's Creek and Everwood, two teen dramas that we assume are notorious for their epic super-powered battle scenes. Based on these credentials, expect the new Green Lantern film to imagine up some slightly-larger-than-usual vanilla lattes and tickets to the Plain White T's concert in order to impress his high school sweetheart, Dakota, after which he will most likely imagine an awkward handjob in the back of a Toyota Celica.